29 November 2020

Fireworks Safety

Vladimir Barsky reviews Rounds 4-6 of the Russian Team Championships

The spell of spring-like warm and sunny weather has come down on Sochi, and your author has been carried away with it to the extent of giving you this follow-up review with a slight delay. Now we can state that in the men's tournament the intrigue virtually died in round one after Mednyi Vsadnik defeated Molodezhka. Meanwhile, in the women's section the most exciting events started unfolding towards the mid-race with the strongest teams sorting it out between themselves. We have already highlighted the key matchup of round three between SShOR ShSh and Ugra (let me remind you that it ended in a 2:2 draw), and in round four the rating favorite and current champion from Ugra was pitted against the lower-rated Moscow Chess Federation team.

The match outcome was sealed on the top two boards. The world Vice-champion of the long-ago year 2004 struck first to bring her team forward. A true master never fades away!

Kovalevskaya (FShM) – Girya (Ugra)
Round Four

Black on move


Black must have regretted this king's weakening move down the road.

22.a6 exd4 23.Nd6!

A very strong intermezzo. Black's calculation probably stemmed from 23. exd4 bxa6 24. Rxa6 Nxd4! 25. Nxd4 Qxc5 26. Ra4 Ra8, etc.

23...dxe3 24.Qxd5+ Kh8 25.axb7 Nb8 26.Rd3

That's it, strictly speaking, because there is no holding the white passers without sacrificing much material.

26…Rd7 27.c6 Rc7 28.Nc8

28.Qc4 Qf6 29.Nb5 is tougher. Now Olga starts spicing things up even at the cost of significant material investments.

28...Rcxc8 29.bxc8Q Rxc8 30.Qd6 Qa7 31.Re1 Nxc6 32.Bxc6 e2+ 33.Kh2 Qf2


Having only a minute and a half on her clock (the time pressure was mutual, by the way), Ekaterina missed the convincing: 34.Qe7! Qf4+ 35.g3 Qc4 (35...Qf2+ 36.Bg2) 36.Rd8+.

34...Qxg3+ 35.Kxg3 Be5+ 36.Kf3

White should have avoided the trade of rooks now and the next move.

36…Rxc6 37.Rxe2 Rc5?

Missing the last opportunity: the position arising after 37...Rc3! 38.Rxc3 Bxc3 is a fortress.

38.Rd7 Kg8 39.Ra2 Rc3+ 40.Ke2 Rc8 41.Raa7

The time control is over, and both rooks are in the refreshment stall now. The rest is easy.

41…Bf6 42.Rxh7 Rc2+ 43.Kd1 Ra2

Black turns to the exchange of a pair of rooks to stop the linear checkmate.

44.Rhb7 Rxa7 45.Rxa7 Bg7 46.Ke2 Kh7 47.Kd3 Kh6 48.Kc4 Be5 49.Kd5 Bg3 50.Ke6 f4 51.Kf7 g5 52.Ra6+ Kh7 53.Kf6 Kh6 54.Kf5+ Kh5 55.Ra8 Kh6 56.Rh8+ Kg7 57.Rh5 Black resigned.

The 2015 vice-world champion could have equalized the score after first outwitting her younger opponent, but then stumbling when victory was almost in her pocket.

Pogonina (Ugra) – Shuvalova (FShM)
Round Four

Black on move


Overlooking White's idea. 47...Be8 48.Qc8 Qb5 was maintaining the balance.

48.f6+! Kxf6 49.Qh8+ Ke7 50.Qxh6 Qb4

Black's margin of safety is substantial, but calculating over the board such lines as 50...Qd1 51.Qxg5+ Kf8! 52.Qd8+ Kg7!! 53.Qxd7 c3 or 52.Qe3 Kg8 53.Qc3 Qd3 is far from easy. Polina should have figured out that tucking away the king was of paramount importance, and that a strong c-passer and the exposed position of the white king would secure her half a point.

51.Qxg5+ Ke8

Black should have tucked her king into the kingside instead: 51...Kf8 52.Qd8+ Be8 53.d6 Qe1 54.Qf6 Kg8.

52.Qe5+ Qe7 53.Qb8+ Qd8 54.Qf4 Bb5?

A decisive mistake, 54...Qe7 was a tougher move.

55.d6! f6 56.Bd5 Qa5 57.Qe3+ Kd8 58.Qe7+ Kc8 59.Qe6+ Kd8 60.Qxf6+ Kd7 61.Qe7+ Kc8

/*
The following is a DFT calculation (the ωB97M-V functional and the def2-TZVPD basis) of a single C5H8O5 molecule.

Computed properties:
Energy above the lowest of the compared OMol25 structures with the same formula, charge and spin (kJ/mol): 277.7
LUMO level (Eh): 0.0233
Maximum force (eV Å⁻¹): 5.021
Charge: 0
Structure (SMILES): C=C(O)C(O)(O)COC=O

Last columns: bonded neighbours and bond lengths (Å).
Element x y z (Å)
1 C -2.671 0.041 -0.023  O6 1.206, O7 1.308, H15 1.100
2 C -0.592 0.675 0.738  C4 1.477, O7 1.433, H11 1.009, H12 1.114
3 C 1.220 -0.734 -0.107  C4 1.507, C5 1.328, O8 1.426
4 C 0.679 0.670 -0.014  C2 1.477, C3 1.507, O9 1.401, O10 1.427
5 C 0.755 -1.663 -0.934  C3 1.328, H13 1.001, H14 1.078
6 O -2.711 -1.028 0.534  C1 1.206
7 O -1.648 0.833 -0.217  C1 1.308, C2 1.433
8 O 2.270 -0.934 0.837  C3 1.426, H16 0.985
9 O 1.638 1.463 0.630  C4 1.401, H17 0.933
10 O 0.527 1.267 -1.301  C4 1.427, H18 0.933
11 H -0.663 -0.149 1.315  C2 1.009
12 H -0.772 1.659 1.229  C2 1.114
13 H 1.183 -2.558 -1.068  C5 1.001
14 H -0.137 -1.376 -1.466  C5 1.078
15 H -3.536 0.437 -0.575  C1 1.100
16 H 2.152 -1.774 1.339  O8 0.985
17 H 2.560 1.406 0.494  O9 0.933
18 H -0.254 1.764 -1.411  O10 0.933

***

The following is a DFT calculation (the ωB97M-V functional and the def2-TZVPD basis) of 2 unconnected molecules or ions with the total composition C17H21N3O2.

Computed properties:
Energy above the lowest of the compared OMol25 structures with the same formula, charge and spin (kJ/mol): 201.9
LUMO level (Eh): -0.0370
Maximum force (eV Å⁻¹): 1.871
Charge: 0

Last columns: bonded neighbours and bond lengths (Å).
Element x y z (Å)
1 C -4.571 2.889 0.255  C2 1.486, H10 1.094, H11 1.100, H12 1.100
2 C -3.090 3.011 0.244  C1 1.486, C3 1.380, C8 1.453
3 C -2.250 1.915 0.239  C2 1.380, N4 1.328, H13 1.098
4 N -0.922 1.931 0.254  C3 1.328, C5 1.376
5 C -0.272 3.143 0.223  N4 1.376, O6 1.228, N7 1.403
6 O 0.947 3.287 0.170  C5 1.228
7 N -1.100 4.275 0.263  C5 1.403, C8 1.385, H14 1.010
8 C -2.484 4.332 0.257  C2 1.453, N7 1.385, O9 1.231
9 O -3.065 5.418 0.265  C8 1.231
10 H -5.025 3.884 0.259  C1 1.094
11 H -4.930 2.334 -0.624  C1 1.100
12 H -4.914 2.336 1.142  C1 1.100
13 H -2.699 0.913 0.228  C3 1.098
14 H -0.604 5.155 0.263  N7 1.010
15 C 0.412 -3.395 2.451  C16 1.533, C27 1.531, H28 1.097, H29 1.095
16 C -0.039 -1.977 2.822  C15 1.533, C17 1.528, H30 1.098, H31 1.096
17 C 0.844 -0.867 2.254  C16 1.528, N18 1.476, H32 1.095, H33 1.101
18 N 1.149 -1.096 0.828  C17 1.476, C19 1.316, C26 1.473
19 C 0.962 -0.152 -0.070  N18 1.316, C20 1.451, H34 1.094
20 C 1.287 -0.335 -1.473  C19 1.451, C21 1.419, C25 1.413
21 C 0.811 -1.465 -2.187  C20 1.419, C22 1.393, H35 1.095
22 C 1.301 -1.745 -3.460  C21 1.393, C23 1.403, H36 1.092
23 C 2.218 -0.875 -4.068  C22 1.403, C24 1.404, H37 1.092
24 C 2.649 0.276 -3.389  C23 1.404, C25 1.393, H38 1.092
25 C 2.153 0.574 -2.122  C20 1.413, C24 1.393, H39 1.092
26 C 1.827 -2.381 0.583  N18 1.473, C27 1.524, H40 1.092, H41 1.102
*/


62.g5! was a quick decider. You only need to spot that 62...c3 plugs the a5-d2 diagonal and opens the d5-a2 diagonal, i.e. that the black queen has no more checks to deliver. It means that 63.Qb7+! Kd8 64.Be6 is an inevitable checkmate. 62…Qd2+ 63.Kg3 Qc3+ 64.Bf3 Qa5 65.g6 saves neither as Black runs out of checks, and the white pawn is about to queen.

62...Kd8 63.Qe7+ Kc8 64.Be6+ Kb8 65.Qf8+ Ka7 66.Qg7+ Kb8 67.Qh8+

The immediate queen centralization is more straightforward – 67. Qd4.

67...Ka7 68.Qd4+ Qb6 69.Qxb6+

White was obviously willing to press his material advantage home without much hassle and without blundering some random check along the way. White could have kept the queens on the board with 69.Qf4 c3 70.Bf5 Qc5 71.Bc2, and Black is in bad shape.

69...Kxb6 70.h4?

This hasty move lets go of the victory. 70.Bf5! was correct, but the subsequent lines are not that simple:

1) 70…c3 71.Bc2 Kc6 72.h4 Kxd6 73.h5 Ke5 74.h6 Kf6 75.Kg3 Be8 76.g5+ Kf7 77.Kf4 Kg8 78.Ke5 – and the two connected passers will close it off;
2) 70…Ba4 71.Kg3 c3 (71…Kc6 72.d7 Kc7 73.Kf3 c3 74.Ke3) 72.Kf4 c2 73.Bxc2 Bxc2 74.h4 Kc6 75.Ke5 – and three pawns are superior to the bishop.

70...c3 71.Bf5


It is nearly impossible to see the next spectacular move in time pressure and not to make it! It justified itself completely from the psychological point of view, but stronger was 71...Ba4! 72.h5 c2 73.Bxc2 Bxc2 74.g5 Kc6 75.Kg3 Kxd6 76.Kf4 Ke6 with a draw.


this is understandable: if you miss an unexpected move, you want to put the bishop to a safe square, block the passer… Meanwhile, it was necessary to retreat it one square only - 72. Be4!, cutting off the enemy king from the d6-passer. After 72…Bxg4 73.Kg3 Bd1 74.Kf4 c2 75.Bxc2 Bxc2 76.Ke5 there is no stopping the white king from showing up on е7, and the black bishop falls victim to the trick known in chess as "trousers".

72...Bxg4 73.Kg3 Bh5 74.Kf4 Kc6 75.Ke5 Kd7 76.Ba4+ Kd8 77.Kd4 Be8!

With the help of such small stabs, black does not allow the opponent's king to move away from the d6-pawn and get away with the c3-passer unpunished.

78.Bc2 Kd7 79.Kc5 Bh5 80.Bf5+ Kd8 81.Kd4 Bg4 82.Bc2 Kd7 83.Ke5 Bh5 84.Ba4+ Kd8 85.Kf6 Be8 86.Bb3 Kd7 87.Ke5 Bg6 88.Ba4+ Kd8 a draw that allowed FShM to clinch a 2.5:1.5 victory.

Following this round, the St. Petersburg team SShOR ShSh grabbed the lead after whitewashing the Moscow Oblast team with a 4:0 score.

Protopopova (Moscow Oblast) – Bodnaruk (SShOR ShSh)
Round Four

White on move

The pawn structure does little to tell you that it was actually the KID. White could have gained a substantial edge with: 30.Nf5! Rh2 31.Ne7+ Kh7 32.Nxg6 Rxf2 (32...Kxg6 33.Nf4+! Kg5 34.Qxh2) 33.Nxe5 dxe5 34.g5 Ne4 35.g6+ or 33…Nxe5 34.Ng5+ Kg6 35.Ne4. However, Protopopova was carried away with another idea that looked seemingly stronger.


What is Black supposed to do? Taking the knight to d7 to cover the f8-square seems necessary, but then 31. Nf4 with material acquisitions. However, Anastasia has an insidious blow up her sleeve.

30...Rh2!! 31.Qxh2 Qe3+ 32.Kd1?

White loses the thread. She should have retreated the rook immediately with 32.Qd2 Qxg1+, and after something like 33.Qd1 Qxg3 34.gxf6 Kf7 35.Qe2 Kxf6 36.Kd2 the position is level.

32...Ng4! 33.Qe2

This is forced because 33.Qg2 runs into 33…Nf2+.

33...Qxg1+ 34.Nf1

34…Bd3! 35.Qf3

There is no touching the bishop: 35.Qxd3 Nf2+.

35...Qxf1+ 36.Qxf1 Bxf1 37.b3 b5 38.Ke1 Bd3 39.Kd2 bxc4 40.Kc3 Ne5 41.Nc7 Kf7 42.Nb5 cxb3 43.Nxd6+ Ke7 44.Nc8+ Kd7 45.Nxa7 bxa2 46.Kb2 Bc4 47.d6 Nd3+ 48.Ka1 Nb4 White resigned.

The next day, there took place yet another change of lead after FSM defeated SShOR ShSh with a minimum score.

Shuvalova (FShM) – Bodnaruk (SShOR ShSh)
Round Five

White on move

Tigran Petrosian used to say his summer cottage was “financed” by the KID Defense. Nastya Bodnaruk also seems to fare from this debut, otherwise she wouldn't have employed it regularly for so many years now. However, something went wrong for her in this game. Black's position is rather "loose": both flanks are weak and there is no real counterplay against the opponent's king. Shuvalova gradually pushes back the opponent's pieces.

23.Nh2 Nd4 24.Qa3 Bh5

You need to retreat because 24...Ne2+ 25.Kf1 Nxc1 26.Nxg4 is bad.

25.Nxd6 Ne2+ 26.Rxe2 Bxe2 27.Nb7!

The knight clears the way for his passed pawn.

27...Qd7 28.d6 Ng6 29.Qe3 Bg4 30.Bd5+ Kh8 31.Rc7 Qf5 32.f3

The immediate 32.Rxg7! was also possible.

32...Bh3 33.Rxg7! Qb1+

Or 33...Kxg7 34.Qxh6+ Kf6 35.g4 Qb1+ 36.Kf2.



Black's situation is hopeless, and the sacrificial fireworks only last him until time control.

35.Bxf3 Kxg7 36.Qxh6+ Kf6 37.Qxh3 Rh8 38.Ng4+ Ke6 39.Nh6+ Kf6 40.Qd7 Rxh6 41.Bxh6 Qxb2+ 42.Be2 Black resigns.

Fireworks happened in the men's championship as well. This is, perhaps, the most visual, but the mysterious of all such cases.

Antipov (Molodezhka) – Musalov (Kimmeria)
Round Six

1.e4 e5 2.Nf3 Nc6 3.Bb5 a6 4.Ba4 Nf6 5.d3 d6 6.c4 g6 7.Nc3 Bg7 8.Nd5 Nd7 9.Bg5 f6 10.Be3 Ne7

The prosaic continuation 11. d4 c6 12. Nc3 with a significant advantage did not suit Mikhail Antipov for some reason, and he decided to create his own "immortal" game.


The mind-boggling blow 11.Nxe5 got into the broadcast by mistake - too beautiful to be true, but the author of these lines was the first victim who fell for it.


This is forced because something like 11...Nxd5 12.Ne6 Nxe3 13.fxe3 Qe7 14.Nxc7+ is bad for Black.

12.Bg5 Bf8 13.f4

A draw by repetition was 13.Nf6+ Kf7 14.Bxd7 Bxd7 15.Qf3 Kg7 16.Nd5 Kg8 17.Nf6+, but it is clearly not for the sake of this quick draw that Mikhail, a brilliant tactician, has brewed this combination. However, he must have underestimated some defensive resource of his opponent’s.

13...c6 14.fxe5 cxd5 15.0–0 b5 16.d4 Qb6 17.exd5 bxa4 18.exd6

What a spectacular setup! However, aloof to any visual effects, the engine's evaluation is -5.

18...Bg7 19.c5 Qxb2 20.Kh1

If 20.dxe7, then 20…Qxd4+ with an exchange of queens.

20...Qxd4 21.Qe1 Qe5 22.Qd2 Qxd5 23.Qe3 Qe5 24.Qf3 Qd5 25.Qe3 Qe5 26.Qf3

Is it going to end in a threefold repetition after all? Not really.

26...Qxg5 27.Qf7+ Kd8 28.Rae1 Be5 29.dxe7+ Qxe7 30.Qd5 Ra7 31.c6 Qc5 32.Qe4 Nf6 33.Qxa4 Re7 34.Rb1 Ke8 35.Rfc1 Qd4 White resigned: he is down three pieces and there are no more bullets to keep up the fight.

And here is an example of a lot more well-prepared attack.

Esipenko (FShM) – Sakaev (Mednyi Vsadnik)
Round Four

Not only did Esipenko opt for the Karpov's favorite 6. Be2 in response to the Najdorf system, but he otherwise delivered the whole game in the Karpovian style.

White on move

Now the black knight intends to plant itself on f5. White nips the idea in the bud without any second thoughts.

19.g4! Ne4 20.Qg2 Nc5 21.b3 Nd7 22.Kh1 Nb6 23.Ne3 Qd8 24.Bb5 Rf8


They taught in the old days that the knight belongs to this square! The engine votes for 25.f4, which looks stronger indeed.

25…Bf6 26.Rg1 Nxf5

This knight is an eyesore, but this trade was best avoided: 26...Kh8 27.Ng3 (now the capture by the pawn is a threat) 27…Bg5 28.Bxg5 Qxg5 29.Ne4 Qd8 with quite a tenable position.

27.gxf5 Bg7 28.Bg5 Bf6 29.Be3 Kh8 30.Bd3 g5

There is no avoiding this weakening for Black. However, it gives White a clear plan of the king’s offensive.

31.Be4 Rg8 32.Qh3 Nd7 33.Qh5 Rg7 34.h4!

With the queen posted on h5, it's time to open up the files.

34…gxh4 35.Bh6 Rxg1+ 36.Rxg1 Qe8


A decisive maneuver: the bishop returns to b5 to ruin Black's defenses.


This is an attempt to muddy the waters. 37...Nc5 38.Bb5 Qe7 39.Qg4 loses immediately.

38.Bb5 e3 39.Bxd7 Qe4+

Or 39...Qxd7 40.Qg4.

40.f3 Qe5 41.Qxf7 e2 42.Bf8 Black resigned.

Potkin (СPRF) – Makarian (The Botvinnik School)
Round Four

The СPRF team member Vladimir Potkin was envied by everyone for having brought to Sochi such a cozy jacket!

Vladimir Potkin

1.d4 Nf6 2.c4 g6 3.Nc3 Bg7 4.e4 d6 5.Be2 0–0 6.Be3 Nc6 7.d5 Ne5 8.f4 Neg4 9.Bd2 Nh6 10.Nf3 c6 11.Bd3

Black's position may actually be not as bad as it looks.


This is a creative overkill. 11...e6!? begged to be played.

12.dxc6 bxc4 13.Bxc4 Nxe4!? 14.Nxe4 d5


Was it this move that Black must have underestimated? White builds his further play around this far-infiltrated pawn.

15…Qd7 16.Ba5 dxe4 17.Qxd7 Bxd7 18.0–0–0 exf3

If 18...Bc8, then 19.Bd5, trapping the rook.

19.Rxd7 fxg2 20.Rg1 Nf5 21.Bd5 Rae8 22.Rd8 Nd6 23.Bc6 Black resigned.

Iljiushenok (Moscow Oblast) – Rublevsky (KPRF)
Round Six

The final example of our selection goes to demonstrate the difference between a human and a computer's perception of the position.

White on move

Black is clearly well compensated for the sacrificed pawn: his pieces are active, and the opponent's king is quite exposed. Sergey Rublevsky has just played 21...Rf8-f5. Where should the queen retreat?


The move suggests itself to maintain the pin and keep the opponent's bishop out of d5. Strange as it may seem, this error could have become fatal. Correct is 22.Qd4! h5, with a double-edged play.


Would not any human player aim at mounting his bishop to the big diagonal in a position like this? Rublevsky comes up with a beautiful tactical idea of setting this plan in motion. However, the engine says that there exist other lines that should not be neglected: 22...Raf8 23.Re1 Qf7! There is no touching the bishop: 24.Qxe6 Rf1+! 25.Kg2 Qxe6 26.Rxe6 Rxa1, and the prophylactic 24.c4 is followed by 24…Bc8! 25.Nc5 Rf3 26.Qe2 Rf2 27.Qd1 Bh3 with decisive threats. The h3-square is as equally perfect a home for the bishop as d5!

23.Re1 Bf7 24.Nb6 Rf3

24...Rd8!? 25.Rad1 Rxd1 26.Rxd1 Re5 with compensation for the pawn was worth considering.

25.Qe4 Qc3!

This was the point of Black's plan: he keeps an eye on the c2-pawn and threatens to sacrifice on g3 if the need arises. There is no touching the rook: 26.Nxa8 Qc5+ 27.Kg2 Qf2+ 28.Kh3 (28.Kh1 Bd5) 28...Rf6, and White decided to stay on the safe side by going for the move repetition:

26.Na4 Qf6 27.Nb6 Qc3 28.Na4 Qf6 29.Nb6 Qc3 Draw.

The final diagram doomed Black to have to scramble for a draw after White's strong 26.Qe5! Rf8 (26...Qxc2 27.Re2) 27.Qxc3 Rxc3 28.Rac1 Bg6 29.Re2.